The reader should transcribe the material further below from the line with "0.879 1.672" to the end word for word.

........
--- one ---
19
Properties=species:S:1:pos:R:3:lowdin_charge:R:1 method="wB97M-V/def2-TZVPD" homo_energy_ev=-8.98 smiles="CC(C)(C=O)C1(O)C=C1" total_charge=0 homo_lumo_gap_ev=8.69 lumo_ev=-0.3
C -1.329 -1.041 0.597 -0.045
C 1.000 -1.421 -0.338 -0.040
C -0.219 0.713 -0.889 -0.490
C -0.045 -0.420 0.100 -0.404
C 0.758 0.512 1.393 -0.203
C 0.879 1.672 -1.136 0.094
C 0.089 1.954 -0.089 0.026
O -1.239 0.594 -1.841 0.025
O 1.947 0.669 1.486 0.051
H -2.096 0.660 -1.404 0.095
H 0.134 0.472 2.314 0.124
H 1.915 1.634 -1.409 0.109
H -0.583 2.597 0.442 0.126
H -1.852 -1.550 -0.217 0.092
H -1.125 -1.771 1.379 0.087
H 1.946 -0.931 -0.563 0.082
H 0.657 -1.895 -1.261 0.096
H 1.167 -2.168 0.437 0.087
H -2.003 -0.281 0.998 0.087

--- two ---
19
Properties=species:S:1:pos:R:3:lowdin_charge:R:1 method="wB97M-V/def2-TZVPD" homo_energy_ev=-8.13 total_charge=0 homo_lumo_gap_ev=8.52 lumo_ev=0.4
C -0.123 -0.460 0.215 -0.285
C -0.547 1.063 0.011 -0.101
C -0.616 0.377 1.339 -0.031
C -0.467 -1.862 -0.193 -0.002
C 2.186 0.817 0.308 -0.003
C 1.002 0.335 -0.514 -0.539
C -1.829 0.284 -0.958 -0.164
O 1.164 0.055 -1.732 -0.049
O -2.874 -0.039 -0.506 0.095
H -0.781 2.021 -0.436 0.171
H 0.079 0.690 2.109 0.112
H -1.605 0.138 1.717 0.120
H -1.520 0.430 -2.004 0.148
H -1.516 -2.105 -0.026 0.083
H 0.166 -2.521 0.407 0.104
H -0.220 -2.029 -1.241 0.094
H 2.785 -0.044 0.604 0.091
H 1.912 1.377 1.202 0.071
H 2.802 1.474 -0.304 0.086

Top of the stability list: one, leading by 0.262 eV.

--- one ---
19
Properties=species:S:1:pos:R:3:lowdin_charge:R:1 method="wB97M-V/def2-TZVPD" homo_energy_ev=-9.23 smiles=C1O[C@@H]2C[C@H]1C[C@H]1O[C@H]21 total_charge=0 homo_lumo_gap_ev=10.08 lumo_ev=0.9
C -0.214 -1.526 0.430 -0.183
C 1.175 -0.182 -0.915 -0.223
C 1.309 0.242 0.596 -0.093
C -0.060 -0.172 1.050 -0.301
C -1.241 0.739 0.515 -0.105
C -1.246 0.492 -0.950 -0.202
C 0.168 0.904 -1.407 -0.144
H 0.370 -2.342 1.043 0.161
H -1.239 -1.786 0.280 0.119
H 2.147 -0.320 -1.575 0.181
H 1.924 -0.376 1.238 0.119
H 1.599 1.305 0.749 0.133
H -0.057 -0.339 2.211 0.178
H -0.950 1.706 0.941 0.120
H -2.231 0.548 0.995 0.118
H -1.321 -0.530 -1.246 0.125
H 0.466 1.825 -0.914 0.125
O 0.438 -1.371 -0.808 -0.143
O -1.036 1.182 -2.233 0.014

--- two ---
19
Properties=species:S:1:pos:R:3:lowdin_charge:R:1 method="wB97M-V/def2-TZVPD" homo_energy_ev="-6.88 / -7.01" total_charge=0 homo_lumo_gap_ev="7.59 / 7.47" lumo_ev="0.7 / 0.5"
C -0.661 0.370 0.094 -0.225
C 2.503 1.151 0.708 -0.054
C -0.577 1.113 -1.204 -0.078
C 1.898 -0.239 0.645 -0.243
C -0.376 -0.929 0.241 -0.182
C -2.920 -0.506 -0.137 -0.101
C -0.311 -2.224 0.253 0.039
O 2.524 -1.244 0.777 0.054
O -3.573 0.096 -0.927 0.006
H -0.783 0.955 1.001 0.124
H -3.353 -1.407 0.401 0.082
H 1.984 1.731 1.473 0.077
H 3.573 1.104 0.932 0.078
H 2.350 1.644 -0.253 0.068
H -1.569 1.501 -1.454 0.069
H 0.103 1.963 -1.120 0.069
H -0.260 0.467 -2.021 0.092
H 0.646 -2.704 0.435 0.061
H -1.197 -2.842 0.158 0.065

Top of the stability list: one, leading by 1.699 eV.

--- one ---
19
Properties=species:S:1:pos:R:3:lowdin_charge:R:1 method="wB97M-V/def2-TZVPD" homo_energy_ev=-9.49 total_charge=0 homo_lumo_gap_ev=10.51 lumo_ev=1.0
C -1.749 -0.337 1.778 -0.145
C -0.895 0.883 1.481 -0.214
C 0.438 0.522 0.820 -0.172
C 0.908 -0.774 0.234 -0.378
C 0.951 1.033 -0.653 0.028
C 0.125 0.167 -1.758 -0.125
C -0.132 -1.103 -0.895 -0.135
H -1.695 -1.000 2.786 0.104
H -2.926 -0.197 1.964 0.109
H -1.585 -1.065 0.964 0.049
H -1.548 1.384 0.816 0.084
H -0.785 1.507 2.468 0.141
H 1.341 0.658 1.516 0.170
H 0.947 -1.700 0.828 0.160
H 1.503 1.971 -0.966 0.146
H 0.345 0.279 -2.951 0.193
H -0.110 -1.936 -1.584 0.140
O 1.975 -0.209 -0.407 -0.080
O -1.145 -0.073 -1.079 -0.075

--- two ---
19
Properties=species:S:1:pos:R:3:lowdin_charge:R:1 method="wB97M-V/def2-TZVPD" homo_energy_ev=-9.30 smiles=CC#CC1(C)OCCO1 total_charge=0 homo_lumo_gap_ev=10.26 lumo_ev=1.0
C 0.672 0.022 0.557 0.105
C 1.834 0.068 0.663 -0.199
C -1.283 -0.492 -1.827 -0.132
C -1.937 -1.259 -0.646 -0.147
C -1.071 0.638 0.162 -0.497
........

C 0.879 1.672 -1.136 0.094
C 0.089 1.954 -0.089 0.026
O -1.239 0.594 -1.841 0.025
O 1.947 0.669 1.486 0.051
H -2.096 0.660 -1.404 0.095
H 0.134 0.472 2.314 0.124
H 1.915 1.634 -1.409 0.109
H -0.583 2.597 0.442 0.126
H -1.852 -1.550 -0.217 0.092
H -1.125 -1.771 1.379 0.087
H 1.946 -0.931 -0.563 0.082
H 0.657 -1.895 -1.261 0.096
H 1.167 -2.168 0.437 0.087
H -2.003 -0.281 0.998 0.087

--- two ---
19
Properties=species:S:1:pos:R:3:lowdin_charge:R:1 method="wB97M-V/def2-TZVPD" homo_energy_ev=-8.13 total_charge=0 homo_lumo_gap_ev=8.52 lumo_ev=0.4
C -0.123 -0.460 0.215 -0.285
C -0.547 1.063 0.011 -0.101
C -0.616 0.377 1.339 -0.031
C -0.467 -1.862 -0.193 -0.002
C 2.186 0.817 0.308 -0.003
C 1.002 0.335 -0.514 -0.539
C -1.829 0.284 -0.958 -0.164
O 1.164 0.055 -1.732 -0.049
O -2.874 -0.039 -0.506 0.095
H -0.781 2.021 -0.436 0.171
H 0.079 0.690 2.109 0.112
H -1.605 0.138 1.717 0.120
H -1.520 0.430 -2.004 0.148
H -1.516 -2.105 -0.026 0.083
H 0.166 -2.521 0.407 0.104
H -0.220 -2.029 -1.241 0.094
H 2.785 -0.044 0.604 0.091
H 1.912 1.377 1.202 0.071
H 2.802 1.474 -0.304 0.086

Top of the stability list: one, leading by 0.262 eV.

--- one ---
19
Properties=species:S:1:pos:R:3:lowdin_charge:R:1 method="wB97M-V/def2-TZVPD" homo_energy_ev=-9.23 smiles=C1O[C@@H]2C[C@H]1C[C@H]1O[C@H]21 total_charge=0 homo_lumo_gap_ev=10.08 lumo_ev=0.9
C -0.214 -1.526 0.430 -0.183
C 1.175 -0.182 -0.915 -0.223
C 1.309 0.242 0.596 -0.093
C -0.060 -0.172 1.050 -0.301
C -1.241 0.739 0.515 -0.105
C -1.246 0.492 -0.950 -0.202
C 0.168 0.904 -1.407 -0.144
H 0.370 -2.342 1.043 0.161
H -1.239 -1.786 0.280 0.119
H 2.147 -0.320 -1.575 0.181
H 1.924 -0.376 1.238 0.119
H 1.599 1.305 0.749 0.133
H -0.057 -0.339 2.211 0.178
H -0.950 1.706 0.941 0.120
H -2.231 0.548 0.995 0.118
H -1.321 -0.530 -1.246 0.125
H 0.466 1.825 -0.914 0.125
O 0.438 -1.371 -0.808 -0.143
O -1.036 1.182 -2.233 0.014

--- two ---
19
Properties=species:S:1:pos:R:3:lowdin_charge:R:1 method="wB97M-V/def2-TZVPD" homo_energy_ev="-6.88 / -7.01" total_charge=0 homo_lumo_gap_ev="7.59 / 7.47" lumo_ev="0.7 / 0.5"
C -0.661 0.370 0.094 -0.225
C 2.503 1.151 0.708 -0.054
C -0.577 1.113 -1.204 -0.078
C 1.898 -0.239 0.645 -0.243
C -0.376 -0.929 0.241 -0.182
C -2.920 -0.506 -0.137 -0.101
C -0.311 -2.224 0.253 0.039
O 2.524 -1.244 0.777 0.054
O -3.573 0.096 -0.927 0.006
H -0.783 0.955 1.001 0.124
H -3.353 -1.407 0.401 0.082
H 1.984 1.731 1.473 0.077
H 3.573 1.104 0.932 0.078
H 2.350 1.644 -0.253 0.068
H -1.569 1.501 -1.454 0.069
H 0.103 1.963 -1.120 0.069
H -0.260 0.467 -2.021 0.092
H 0.646 -2.704 0.435 0.061
H -1.197 -2.842 0.158 0.065

Top of the stability list: one, leading by 1.699 eV.

--- one ---
19
Properties=species:S:1:pos:R:3:lowdin_charge:R:1 method="wB97M-V/def2-TZVPD" homo_energy_ev=-9.49 total_charge=0 homo_lumo_gap_ev=10.51 lumo_ev=1.0
C -1.749 -0.337 1.778 -0.145
C -0.895 0.883 1.481 -0.214
C 0.438 0.522 0.820 -0.172
C 0.908 -0.774 0.234 -0.378
C 0.951 1.033 -0.653 0.028
C 0.125 0.167 -1.758 -0.125
C -0.132 -1.103 -0.895 -0.135
H -1.695 -1.000 2.786 0.104
H -2.926 -0.197 1.964 0.109
H -1.585 -1.065 0.964 0.049
H -1.548 1.384 0.816 0.084
H -0.785 1.507 2.468 0.141
H 1.341 0.658 1.516 0.170
H 0.947 -1.700 0.828 0.160
H 1.503 1.971 -0.966 0.146
H 0.345 0.279 -2.951 0.193
H -0.110 -1.936 -1.584 0.140
O 1.975 -0.209 -0.407 -0.080
O -1.145 -0.073 -1.079 -0.075

--- two ---
19
Properties=species:S:1:pos:R:3:lowdin_charge:R:1 method="wB97M-V/def2-TZVPD" homo_energy_ev=-9.30 smiles=CC#CC1(C)OCCO1 total_charge=0 homo_lumo_gap_ev=10.26 lumo_ev=1.0
C 0.672 0.022 0.557 0.105
C 1.834 0.068 0.663 -0.199
C -1.283 -0.492 -1.827 -0.132
C -1.937 -1.259 -0.646 -0.147
C -1.071 0.638 0.162 -0.497